To do:
The reader should transcribe only the lines below with the word "data_KRe2Ag" in them.

Input:
- - -
1.
Entry from Alexandria: a geometry-optimized Na2VSeO6 structure (GGA+U).

Values from the calculation:
* size of the total moment: 0.00 μB per atom
* calculated total energy: -5.673 eV/atom

Cell lengths 5.2056, 5.2056, 4.6609 Å; angles 90.00, 90.00, 90.00 degrees
Space group P4mm (No. 99)
Symmetry-distinct sites (fractional):
Na: 0.0000 0.5000 0.0000 x2
V: 0.0000 0.0000 0.5379 x1
Se: 0.5000 0.5000 0.5557 x1
O: 0.0000 0.0000 0.1797 x1
O: 0.2481 0.2481 0.6424 x4
O: 0.5000 0.5000 0.1935 x1

2.
Entry from Alexandria: a geometry-optimized Na6W6Se2O25 structure (GGA+U).

Values from the calculation:
* size of the total moment: 0.00 μB per atom
* calculated total energy: -6.513 eV/atom

Cell lengths 43.1831, 7.4150, 6.8769 Å; angles 90.00, 98.31, 90.00 degrees
Space group C2 (No. 5)
Symmetry-distinct sites (fractional):
Na: 0.0355 0.0000 0.3059 x4
Na: 0.0360 0.5019 0.2785 x4
Na: 0.1151 0.5008 0.0180 x4
Na: 0.1781 0.5011 0.7596 x4
Na: 0.1823 0.7790 0.2635 x4
Na: 0.2489 0.5509 0.5433 x4
W: 0.0455 0.2509 0.8026 x4
W: 0.0459 0.7510 0.8015 x4
W: 0.1082 0.2593 0.5349 x4
W: 0.1089 0.7471 0.5356 x4
W: 0.1814 0.0067 0.7331 x4
W: 0.2492 0.2733 0.9751 x4
Se: 0.1144 0.0010 0.0014 x4
Se: 0.1892 0.3582 0.2680 x4
O: 0.0054 0.2956 0.7246 x4
O: 0.0057 0.7063 0.7225 x4
O: 0.0442 0.0013 0.7075 x4
O: 0.0478 0.1985 0.0577 x4
O: 0.0479 0.8027 0.0567 x4
O: 0.0599 0.5008 0.8522 x4
O: 0.0651 0.2951 0.5352 x4
O: 0.0657 0.7082 0.5320 x4
O: 0.1012 0.8143 0.8495 x4
O: 0.1022 0.0025 0.4890 x4
O: 0.1016 0.1879 0.8511 x4
O: 0.1126 0.3134 0.2904 x4
O: 0.1150 0.6969 0.2921 x4
O: 0.1194 0.5026 0.6451 x4
O: 0.1517 0.1911 0.6423 x4
O: 0.1527 0.8140 0.6447 x4
O: 0.1542 0.9948 0.9971 x4
O: 0.1730 0.4998 0.0860 x4
O: 0.1955 0.5017 0.4626 x4
O: 0.2006 0.9997 0.5207 x4
O: 0.2065 0.1982 0.8760 x4
O: 0.2091 0.8396 0.8915 x4
O: 0.2302 0.3253 0.2346 x4
O: 0.2391 0.7523 0.2644 x4
O: 0.2408 0.5334 0.9247 x4

Repeat the second record exactly.
Entry from Alexandria: a geometry-optimized Na6W6Se2O25 structure (GGA+U).

Values from the calculation:
* size of the total moment: 0.00 μB per atom
* calculated total energy: -6.513 eV/atom

Cell lengths 43.1831, 7.4150, 6.8769 Å; angles 90.00, 98.31, 90.00 degrees
Space group C2 (No. 5)
Symmetry-distinct sites (fractional):
Na: 0.0355 0.0000 0.3059 x4
Na: 0.0360 0.5019 0.2785 x4
Na: 0.1151 0.5008 0.0180 x4
Na: 0.1781 0.5011 0.7596 x4
Na: 0.1823 0.7790 0.2635 x4
Na: 0.2489 0.5509 0.5433 x4
W: 0.0455 0.2509 0.8026 x4
W: 0.0459 0.7510 0.8015 x4
W: 0.1082 0.2593 0.5349 x4
W: 0.1089 0.7471 0.5356 x4
W: 0.1814 0.0067 0.7331 x4
W: 0.2492 0.2733 0.9751 x4
Se: 0.1144 0.0010 0.0014 x4
Se: 0.1892 0.3582 0.2680 x4
O: 0.0054 0.2956 0.7246 x4
O: 0.0057 0.7063 0.7225 x4
O: 0.0442 0.0013 0.7075 x4
O: 0.0478 0.1985 0.0577 x4
O: 0.0479 0.8027 0.0567 x4
O: 0.0599 0.5008 0.8522 x4
O: 0.0651 0.2951 0.5352 x4
O: 0.0657 0.7082 0.5320 x4
O: 0.1012 0.8143 0.8495 x4
O: 0.1022 0.0025 0.4890 x4
O: 0.1016 0.1879 0.8511 x4
O: 0.1126 0.3134 0.2904 x4
O: 0.1150 0.6969 0.2921 x4
O: 0.1194 0.5026 0.6451 x4
O: 0.1517 0.1911 0.6423 x4
O: 0.1527 0.8140 0.6447 x4
O: 0.1542 0.9948 0.9971 x4
O: 0.1730 0.4998 0.0860 x4
O: 0.1955 0.5017 0.4626 x4
O: 0.2006 0.9997 0.5207 x4
O: 0.2065 0.1982 0.8760 x4
O: 0.2091 0.8396 0.8915 x4
O: 0.2302 0.3253 0.2346 x4
O: 0.2391 0.7523 0.2644 x4
O: 0.2408 0.5334 0.9247 x4

- What is the formula in the second record?
  Na6W6Se2O25

What did the first record say?
Entry from Alexandria: a geometry-optimized Na2VSeO6 structure (GGA+U).

Values from the calculation:
* size of the total moment: 0.00 μB per atom
* calculated total energy: -5.673 eV/atom

Cell lengths 5.2056, 5.2056, 4.6609 Å; angles 90.00, 90.00, 90.00 degrees
Space group P4mm (No. 99)
Symmetry-distinct sites (fractional):
Na: 0.0000 0.5000 0.0000 x2
V: 0.0000 0.0000 0.5379 x1
Se: 0.5000 0.5000 0.5557 x1
O: 0.0000 0.0000 0.1797 x1
O: 0.2481 0.2481 0.6424 x4
O: 0.5000 0.5000 0.1935 x1

~~~~~

# 1
# PBE KRe2Ag, relaxed
data_KRe2Ag
_chemical_formula_sum 'K1 Re2 Ag1'
- - -

Solution:
data_KRe2Ag